News Item
Chief Justice Lorie S. Gildea, Justice David R. Stras Sworn In During Public Ceremony
Posted: Tuesday, July 13, 2010
Lorie Skjerven Gildea was sworn-in as Minnesota's 22nd Chief Justice, and David R. Stras as the 89th Associate Justice of the Minnesota Supreme Court, at a public event Monday, July 12, 2010, at the Landmark Center in downtown St. Paul.

Chief Justice Gildea previously served as an associate justice of the Supreme Court since 2006. Associate Justice Alan Page administered the oath of office. Former Chief Justice Russell A. Anderson spoke about Chief Justice Gildea's small-town roots and strong work ethic.
Prior to joining the Supreme Court, Justice Stras was a member of the faculty of the University of Minnesota Law School. Dean David Wippman, University of Minnesota Law School, spoke about Justice Stras' keen intellect and exemplary teaching skills. Justice Clarence Thomas of the Supreme Court of the United States administered the oath and offered a few personal comments. Justice Stras worked as a clerk for Justice Thomas in 2003.
Chief Justice Lorie Skjerven Gildea
Investiture Ceremony
July 12, 2010
Thank you. Justices of the Minnesota Supreme Court, Chief Justice Anderson, Chief Judge Gearin, Justice Thomas, Governor, members of the state and federal appellate and district courts, representatives from the state and federal legislative branches and from the executive branch, Dean Wippman and distinguished leaders from the University, President Votel and bar leaders, family, friends, thank you all for being here today.
Governor Pawlenty, thank you for your service to our state, for your kind words and for giving me the honor to serve the people of Minnesota as their chief justice.
I also want to thank Senator Klobuchar for her service to our state and for her supportive words. I will always be grateful for the opportunities the Senator provided to me when she hired me to work on her team in the Hennepin County Attorney's Office. The press of the business of the Senate kept the Senator from being with us, but we are so happy that her husband John Bessler is with us today. Thank you, John.
Chief Justice Anderson, thank you for your gracious comments today. Russ Anderson is my mentor and he is my friend. Tim Pawlenty appointed me to the bench, but Russ Anderson taught me to be a judge. And so it means so much to me that you are with me today on this most important of days.
To my family, friends, teachers, and mentors, please know that everything good I have done and I will do has been shaped by the good that you have done for me.
~~~
# 1
Density functional theory data (PBE) for a relaxed structure of AsPd6Pb.

Summary:
Calculated total energy = -41.23 eV per cell

Cell: 7.8302 7.8302 7.8302 Å, 33.79 33.79 33.79°
Last column: nearest neighbours and their distance in Å.
Atoms (fractional coordinates):
As1 0.0000 0.0000 0.0000  8 Pd 2.56-2.73
Pd1 0.1159 0.1159 0.1159  1 As 2.56, 4 Pd 2.69-2.84, 3 Pb 2.86
Pd2 0.2443 0.2443 0.2443  8 Pd 2.69-2.90
Pd3 0.3672 0.3672 0.3672  7 Pd 2.72-3.02, 3 As 2.73, 1 Pb 2.94
Pd4 0.6328 0.6328 0.6328  7 Pd 2.72-3.02, 3 As 2.73, 1 Pb 2.94
Pd5 0.7557 0.7557 0.7557  8 Pd 2.69-2.90
Pd6 0.8841 0.8841 0.8841  1 As 2.56, 4 Pd 2.69-2.84, 3 Pb 2.86
Pb1 0.5000 0.5000 0.5000  14 Pd 2.86-3.14

=====

# 2
Density functional theory data (PBE) for a relaxed structure of Sr2PrGaO5.

Summary:
Calculated total energy = -120.26 eV per cell

Cell: 7.4895 7.4792 6.8574 Å, 62.81 62.66 54.53°
Last column: nearest neighbours and their distance in Å.
Atoms (fractional coordinates):
Sr1 0.1745 0.8255 0.8255  4 O 2.41-2.54
Sr2 0.2500 0.2500 0.2500  10 O 2.85-2.92
Sr3 0.7500 0.7500 0.7500  10 O 2.85-2.92
Sr4 0.8255 0.1745 0.1745  4 O 2.41-2.54
Pr1 0.3211 0.6789 0.3211  4 O 2.35-2.52
Pr2 0.6789 0.3211 0.6789  4 O 2.35-2.52
Ga1 0.2477 0.2477 0.7523  4 O 1.85-1.86
Ga2 0.7523 0.7523 0.2477  4 O 1.85-1.86
O1 0.0000 0.0000 0.5000  2 Pr 2.52, 2 Sr 2.54
O2 0.0039 0.7064 0.2936  1 Ga 1.86
O3 0.2172 0.4986 0.7828  1 Ga 1.85
O4 0.2936 0.9961 0.0039  1 Ga 1.86
O5 0.4986 0.2172 0.5014  1 Ga 1.85
O6 0.5000 0.5000 0.0000  2 Pr 2.52, 2 Sr 2.54
O7 0.5014 0.7828 0.4986  1 Ga 1.85
O8 0.7064 0.0039 0.9961  1 Ga 1.86
O9 0.7828 0.5014 0.2172  1 Ga 1.85
O10 0.9961 0.2936 0.7064  1 Ga 1.86

=====

# 3
Density functional theory data (PBE) for a relaxed structure of RbUAgS3.

Summary:
Calculated total energy = -68.46 eV per cell

Cell: 7.7245 7.7245 10.5350 Å, 90.00 90.00 149.07°
Last column: nearest neighbours and their distance in Å.
Atoms (fractional coordinates):
Rb1 0.2380 0.7620 0.7500  8 S 3.40-3.72, 2 Ag 3.81
Rb2 0.7620 0.2380 0.2500  8 S 3.40-3.72, 2 Ag 3.81
U1 0.5000 0.5000 0.0000  6 S 2.74-2.76
U2 0.5000 0.5000 0.5000  6 S 2.74-2.76
Ag1 0.0470 0.9530 0.2500  4 S 2.48-2.57
Ag2 0.9530 0.0470 0.7500  4 S 2.48-2.57
S1 0.1188 0.8812 0.0371  1 Ag 2.48, 2 U 2.74
S2 0.1188 0.8812 0.4629  1 Ag 2.48, 2 U 2.74
S3 0.4437 0.5563 0.2500  2 Ag 2.57, 2 U 2.76
S4 0.5563 0.4437 0.7500  2 Ag 2.57, 2 U 2.76
S5 0.8812 0.1188 0.5371  1 Ag 2.48, 2 U 2.74
S6 0.8812 0.1188 0.9629  1 Ag 2.48, 2 U 2.74

=====

# 4
Density functional theory data (PBE) for a relaxed structure of SbS2O9.

Summary:
Calculated total energy = -526.36 eV per cell

Cell: 13.7962 11.0809 9.2868 Å, 90.00 90.00 90.00°
Last column: nearest neighbours and their distance in Å.
Atoms (fractional coordinates):
Sb1 0.0082 0.0161 0.0000  3 O 2.06-2.19
Sb2 0.2180 0.7380 0.8267  4 O 2.06-2.28
Sb3 0.2820 0.7380 0.3267  4 O 2.06-2.28
Sb4 0.4918 0.0161 0.5000  3 O 2.06-2.19
Sb5 0.5082 0.9839 0.0000  3 O 2.06-2.19
Sb6 0.7180 0.2620 0.8267  4 O 2.06-2.28
~~~
Many of my family members are with me today - both those related to me by blood and those related to me by bond. I invite you all to take the opportunity to meet them - they are all pretty impressive individuals.
My good friend and mentor, Jay Hulme from Arent Fox, is with us today from Washington, D.C. Thank you, Jay, for always being there for me.
I am also grateful to my friends from Central Lutheran Church who are here today. The time we spend together on Monday mornings preparing the meal for those in need nourishes my soul, and it touches my heart that you are here today.
I want to thank President Terry Votel and the Minnesota State Bar Association for standing with us as we fight for our justice system in Minnesota. Thank you, President Votel, for your kind words today and thanks to the Bar Association for generously sponsoring the reception today.
I also want to recognize and thank my immediate predecessor, Eric Magnuson. You have been a valued colleague, an outstanding judicial leader, and a strong advocate for the entire justice system. Please join me in thanking former Chief Justice Magnuson for his leadership and service.
To my colleagues on the Supreme Court, for whom I have such deep respect and affection, thank you for your dedicated service to our state. It has been -- and will continue to be - a great privilege to serve with you. And to our newest colleague, Justice Stras, warmest welcome.
[Here the entry breaks off for crystal structures]
........
A plane-wave DFT calculation with PBE was carried out for an optimized crystal structure of CaHfN2.

POSCAR file:
```
CaHfN2
1.0
3.2908 0.0000 0.0000
-1.6454 2.8499 0.0000
0.0000 0.0000 16.8317
Ca Hf N
3 3 6
Direct
0.0000 0.0000 0.0000
0.3333 0.6667 0.6667
0.6667 0.3333 0.3333
0.0000 0.0000 0.5000
0.3333 0.6667 0.1667
0.6667 0.3333 0.8333
0.0000 0.0000 0.2375
0.0000 0.0000 0.7625
0.3333 0.6667 0.4292
0.3333 0.6667 0.9042
0.6667 0.3333 0.0958
0.6667 0.3333 0.5708
```

Formation enthalpy at 0 K ... -1.775 eV per atom
VASP energy ... -8.754 eV/atom
Theoretical density ... 7.78 g/cm³

* * * * *

Entry 1:
# PdAu3, relaxed, DFT r²SCAN
# VASP energy   -43.76 eV/atom
# V   16.9 A^3/atom
# Energy relative to the elements   -0.085 eV/atom
data_PdAu3
_symmetry_space_group_name_H-M 'P 63/m m c'
_symmetry_Int_Tables_number 194
_symmetry_space_group_name_Hall '-P 6c 2c'
_cell_length_a 5.7262
_cell_length_b 5.7262
_cell_length_c 4.7622
_cell_angle_alpha 90.00
_cell_angle_beta 90.00
_cell_angle_gamma 120.00
loop_
_atom_site_label
_atom_site_type_symbol
_atom_site_fract_x
_atom_site_fract_y
_atom_site_fract_z
Pd1 Pd 0.3333 0.6667 0.2500
Au1 Au 0.1679 0.3357 0.7500


Entry 2:
# Sr3UO6, relaxed, DFT r²SCAN
# VASP energy   -19.50 eV/atom
# V   16.2 A^3/atom
# Energy relative to the elements   -3.374 eV/atom
data_Sr3UO6
_symmetry_space_group_name_H-M 'P 1 21/c 1'
_symmetry_Int_Tables_number 14
_cell_length_a 6.012
_cell_length_b 6.245
_cell_length_c 10.473
_cell_angle_alpha 90.00
_cell_angle_beta 124.56
_cell_angle_gamma 90.00
loop_
_symmetry_equiv_pos_as_xyz
'x,y,z'
'-x,-y,-z'
'-x,y+1/2,-z+1/2'
'x,-y+1/2,z+1/2'
loop_
_atom_site_label
_atom_site_type_symbol
_atom_site_fract_x
_atom_site_fract_y
_atom_site_fract_z
Sr1 Sr 0.000 0.000 0.000
Sr2 Sr 0.228 0.050 0.743
U1 U 0.500 0.000 0.500
O1 O 0.168 0.176 0.450
O2 O 0.249 0.727 0.423
O3 O 0.393 0.062 0.275


Entry 3:
# Sc2Ni21B6, relaxed, DFT r²SCAN
# VASP energy   -11.34 eV/atom
# V   9.9 A^3/atom
# Energy relative to the elements   -0.359 eV/atom
data_Sc2Ni21B6
_symmetry_space_group_name_H-M 'F m -3 m'
_symmetry_Int_Tables_number 225
_symmetry_space_group_name_Hall '-F 4 2 3'
_cell_length_a 10.467
_cell_length_b 10.467
_cell_length_c 10.467
_cell_angle_alpha 90.00
_cell_angle_beta 90.00
_cell_angle_gamma 90.00
loop_
........
Thank you, Chief Judge Gearin, for presiding today. I also want to thank all of the women who came to the judiciary before me - including my friend and colleague, Justice Helen Meyer - for helping me find my voice. And I want to especially acknowledge Justice Rosalie Wahl and Chief Justice Kathleen Blatz for making it easier for my voice to be heard.
Finally, as I think most of you know, the University of Minnesota has played a very important role in my life. I am a proud product of the University of Minnesota Morris, and am so happy that a fellow UMMer was here today to sing our National Anthem. Thank you, Gretchen; great job!
I also had the great good fortune to work in the General Counsel's office at the University for over a decade. General Counsel Rotenberg, I know that I would not be standing here today if you had not given me the chance to come home to MN to work with you on behalf of our great University. I will always treasure the many wonderful experiences, life lessons, and friends I gained during my tenure in your office.
And now to the task at hand. As I stand before you today, I do so with a strong sense of optimism, opportunity, and obligation.
I am optimistic because this is Minnesota, a place where our enduring belief in community binds and sustains us. I grew up in a small town, where people are tightly knit together by their connections - to family, to friends, to neighbors, and to history. Nothing teaches you to work together like growing up in a small town, because when you grow up in a very small place, you learn that everybody works or nothing does.
But I have found that this shared experience, communal work ethic, and pride in making our corner of the world a little better for each other is not just a small town value; it can be felt throughout Minnesota - and it is unique to Minnesota. I have lived in other places, and I do not subscribe to the notion that we can not talk about the exceptionalism of our state. Minnesota is exceptional.
So is our judiciary. My optimism is grounded in the knowledge that Minnesota's Judicial Branch is home to judges and staff of the highest caliber. I am continually inspired by our judges, some of the most dedicated public servants in the state, who come to work each day focused squarely and only on doing their very best for the Minnesotans who come before them.
And how can you not be optimistic when you meet and see firsthand the work of our fantastic court staff? These are the people who work tirelessly every day to keep the engine of justice running smoothly. Even in the face of increasing caseloads, funding challenges, and constant administrative transformation, our judges and staff at every level have responded by redoubling their commitment to our mission - to provide justice that is fair, accessible, and timely.
When you look to our people, to the people of MN and to the people of the MN Judicial Branch, you can see why I am optimistic.
But, while I am optimistic, I am not naive, and this is where we come to the opportunity. It is no secret that the financial crisis impacting state government and our economy is considerable. On other fronts, there are some who are working very hard to turn judges into politicians and judicial campaigns into partisan, big money battles.
It is an understatement to say that in 2010, the judiciary faces significant challenges. Yet I believe that Einstein was right: "In the middle of difficulty lies opportunity." Embedded within our substantial challenges are new opportunities for education, innovation, transformation, and leadership. I am confident that we in the MN Judicial Branch will not miss these opportunities. We will do what Minnesotans always do: we will turn these times of impressive challenge into times of great opportunity.
My optimism and belief in the opportunities that lie ahead are matched with a profound sense of obligation. As Chief Justice, I have a solemn responsibility to be a good steward of our Judicial Branch, an institution promised in our Constitution.
The judiciary is where the people come when the things that are most important to them - their family, their freedom, their property - the things they treasure most, they come to us when those treasures are threatened. They come to us, and they come looking for justice.
This is as it must be, because the judiciary is at the heart of what our founders meant when they spoke MN into existence with our Constitution and promised that our state "Government is instituted for the security, benefit and protection of the people.1"
The reason the courts are one of the first promises made in our Constitution is that we are essential to preserving our democracy, securing the rule of law, and ensuring the public safety.
In the days ahead, I ask you to please help me communicate the lesson and the promise of our Constitution, especially the message that the judiciary must be adequately funded, so that we can fulfill that constitutional commitment. I look forward to discussing this constitutional message with my five million bosses across MN, the people we serve, and to enlisting the people's help in making sure that the other two branches of our government do their jobs so that we in the judiciary are able to do ours.
In addition, we must continue the conversation that Governor Al Quie and others have started with Minnesotans about why it is wrong-headed to insert political parties into our judicial selection process. We do not want judges deciding cases based on campaign contributions or party platforms. We want judges deciding cases in a fair and impartial manner, based on the facts in each case and the law that applies to those facts.
I promise to all of you that I will do my best every day to meet my obligation to protect our justice system. In meeting this obligation, I will work closely with my colleagues on the bench and in the bar. That sense of community and partnership I spoke of earlier is something I feel often in the judicial family, and I will work to continue the tradition of forging successful coalitions across the justice system.
But make no mistake, our united voices and concerted action are needed now more than ever to preserve and protect the vital institution that is our Minnesota judiciary. We must all strive to meet our obligations because as Francis Bacon said, "if we do not maintain Justice, Justice will not maintain us."
And so it is with a sense of optimism, a willingness to see the opportunity, and a deep respect for obligation, I come before you today. With heart and hand, we begin our journey together. We have much to do; Let's get started.
Thank you very much.
1. Minn. Const. art. I, § I.